Supported Video Formats

Can you provide a list of video formats supported for insertion to a presentation by Aspose Slides Java? So far I’ve tried AVI, MPG, and WMV. The WMV did not work so we’d like a listing of what does work in order to decide what type of video compression to employ. AVI and MPG file sizes will be too big. Is it possible WMV did not work because we’re using Java and not .NET. Error from PPT when opening WMV file was:

A problem occurred in initializing MCI.

### Someone pasted crystal structures at this point
********
a) Below is a geometry-optimized CeEuSn2 structure, with properties calculated at the PBE level.

POSCAR file:
```
CeEuSn2
1.0
0.0000 3.8918 3.8918
3.8918 0.0000 3.8918
3.8918 3.8918 0.0000
Ce Eu Sn
1 1 2
Cartesian
0.0000 0.0000 0.0000 Ce
3.8918 3.8918 3.8918 Eu
1.9459 1.9459 1.9459 Sn
5.8376 5.8376 5.8376 Sn
```

b) Below is a geometry-optimized CeEuSn2 structure, with properties calculated at the PBE level.

POSCAR file:
```
CeEuSn2
1.0
5.0440 0.0000 0.0000
0.0000 5.0440 0.0000
0.0000 0.0000 4.5118
Ce Eu Sn
1 1 2
Cartesian
0.0000 0.0000 0.0000 Ce
2.5220 2.5220 0.0000 Eu
0.0000 2.5220 2.2559 Sn
2.5220 0.0000 2.2559 Sn
```

From most stable to least stable, the computed energies give b), a).

a) Below is a geometry-optimized SrCeEu2 structure, with properties calculated at the PBE level.

POSCAR file:
```
SrCeEu2
1.0
3.8086 0.0000 0.0000
0.0000 3.8086 0.0000
0.0000 0.0000 11.3448
Sr Ce Eu
1 1 2
Cartesian
0.0000 0.0000 0.0000 Sr
0.0000 0.0000 5.6724 Ce
1.9043 1.9043 3.1161 Eu
1.9043 1.9043 8.2287 Eu
```

b) Below is a geometry-optimized SrCeEu2 structure, with properties calculated at the PBE level.

POSCAR file:
```
SrCeEu2
1.0
1.8701 1.0797 13.6653
-1.8701 1.0797 13.6653
0.0000 -2.1594 13.6653
Sr Ce Eu
1 1 2
Cartesian
0.0000 0.0000 0.0000 Sr
0.0000 0.0000 20.4980 Ce
0.0000 0.0000 17.0982 Eu
0.0000 0.0000 23.8978 Eu
```

From most stable to least stable, the computed energies give a), b).

a) Below is a geometry-optimized Ce2EuTc structure, with properties calculated at the PBE level.

POSCAR file:
```
Ce2EuTc
1.0
3.4541 0.0000 0.0000
0.0000 3.4541 0.0000
0.0000 0.0000 9.3341
Ce Eu Tc
2 1 1
Cartesian
0.0000 0.0000 1.6970 Ce
0.0000 0.0000 7.6371 Ce
1.7270 1.7270 4.6670 Eu
1.7270 1.7270 0.0000 Tc
```

b) Below is a geometry-optimized Ce2EuTc structure, with properties calculated at the PBE level.

POSCAR file:
```
Ce2EuTc
1.0
1.9845 1.1458 9.1639
-1.9845 1.1458 9.1639
0.0000 -2.2915 9.1639
Ce Eu Tc
2 1 1
Cartesian
0.0000 0.0000 6.0852 Ce
0.0000 0.0000 21.4066 Ce
0.0000 0.0000 0.0000 Eu
0.0000 0.0000 13.7459 Tc
```

From most stable to least stable, the computed energies give a), b).

a) Below is a geometry-optimized Ce2EuTh structure, with properties calculated at the PBE level.

POSCAR file:
```
Ce2EuTh
1.0
4.9599 0.0000 0.0000
0.0000 4.9599 0.0000
0.0000 0.0000 4.9972
Ce Eu Th
2 1 1
Cartesian
0.0000 2.4800 0.0000 Ce
2.4800 0.0000 0.0000 Ce
0.0000 0.0000 2.4986 Eu
2.4800 2.4800 2.4986 Th
```

b) Below is a geometry-optimized Ce2EuTh structure, with properties calculated at the PBE level.

POSCAR file:
```
Ce2EuTh
1.0
0.0000 4.0215 4.0215
4.0215 0.0000 4.0215
4.0215 4.0215 0.0000
Ce Eu Th
2 1 1
Cartesian
2.0108 2.0108 2.0108 Ce
6.0323 6.0323 6.0323 Ce
0.0000 0.0000 0.0000 Eu
4.0215 4.0215 4.0215 Th
```

From most stable to least stable, the computed energies give a), b).

a) Below is a geometry-optimized CeEu2Tl structure, with properties calculated at the PBE level.

POSCAR file:
```
CeEu2Tl
1.0
5.0025 0.0000 0.0000
0.0000 5.0025 0.0000
********
### Here the page continues


Dear cleesmith,

Aspose.Slides just add the video frame and video file name. According to my observation, it does not embed the video inside it. It just embeds the file name.

So, when you play it, it starts playing whatever file is present there with that filepath or filename.

You are getting error, then, it means, there is some problem with PowerPoint playing WMV files.

For example, I have written this program in .NET, which adds a video frame with the file sample.wmv, it runs fine on my PowerPoint.

If I replace it with sample.wmv with some other file wmv file, PowerPoint will start playing that file.

I have attached the presentation generated by the following C# code and also sample.ppt; it plays fine here. See do you get same MCI error there?

Presentation srcPres = new Presentation();

Slide srcSld = srcPres.GetSlideByPosition(1);
srcSld.Shapes.AddVideoFrame(500, 500, 3000, 3000, "sample.wmv");


Dear msfaiz:

I used your example to add a WMV to a slide and it worked great. Couple of follow-up questions:

(1) How do I make the video begin immediately when the slide is opened?

(2) What options are available in the AdvanceMode and how do I use it? e.g. srcSld.Shapes[0].AnimationSettings.AdvanceMode


I stumbled onto a solution to my own post; after the call to AddVideoFrame in msfaiz's 9-21-2007 post, I added the following...

srcSld.Shapes[0].AnimationSettings.EntryEffect = ShapeEntryEffect.Cut;
srcSld.Shapes[0].AnimationSettings.AdvanceMode = Aspose.Slides.ShapeAdvanceMode.AdvanceOnTime;
srcSld.Shapes[0].AnimationSettings.AdvanceTime = 0.0d;

Dear Steve,

Thank you for your code.

For the benefits of others, here is a complete code that adds a video frame which plays video automatically.

void AddingVideoFrame()
    Presentation srcPres = new Presentation();
    Slide srcSld = srcPres.GetSlideByPosition(1);

    Shape shp = srcSld.Shapes.AddVideoFrame(500, 500, 3000, 3000, "sample.wmv");
    shp.AnimationSettings.EntryEffect = ShapeEntryEffect.Cut;
    shp.AnimationSettings.AdvanceMode = Aspose.Slides.ShapeAdvanceMode.AdvanceOnTime;
    shp.AnimationSettings.AdvanceTime = 0.0d;


When playing the PPT, the animation begins immediately if the video format is WMV or AVI but requires me to click on it to start an SWF (flash) file. Any idea why that is the case?

Thank you.

How did you insert swf file? Did you use AddOLEObjectFrame? Or did you use AddVideoFrame? I used AddVideoFrame and it do not play it even after clicking.

Please show me your code.

== These data records were left in the text by mistake ==
/*
Arrangement i

{"formula": "V2Ru2Pt", "functional": "PBE-GGA", "state": "relaxed", "lattice": [[7.116, 0.000, 0.000], [0.000, 7.116, 0.000], [0.000, 0.000, 2.851]], "species": ["V", "V", "V", "V", "Ru", "Ru", "Ru", "Ru", "Pt", "Pt"], "frac_coords": [[0.161, 0.339, 0.000], [0.339, 0.839, 0.000], [0.661, 0.161, 0.000], [0.839, 0.661, 0.000], [0.137, 0.637, 0.500], [0.363, 0.137, 0.500], [0.637, 0.863, 0.500], [0.863, 0.363, 0.500], [0.000, 0.000, 0.500], [0.500, 0.500, 0.500]], "space_group": "P4/mbm, No. 127"}

=====

Arrangement ii

{"formula": "V2Ru2Pt", "functional": "PBE-GGA", "state": "relaxed", "lattice": [[2.151, 1.242, 4.388], [-2.151, 1.242, 4.388], [0.000, -2.484, 4.388]], "species": ["V", "V", "Ru", "Ru", "Pt"], "frac_coords": [[0.090, 0.090, 0.090], [0.910, 0.910, 0.910], [0.282, 0.282, 0.282], [0.718, 0.718, 0.718], [0.500, 0.500, 0.500]], "space_group": "R-3m, No. 166"}

=====

Pick arrangement ii: it beats the second-best structure by 3.4 kJ/mol of atoms.

=====

Arrangement i

{"formula": "V6Ru5Pt", "functional": "PBE-GGA", "state": "relaxed", "lattice": [[4.052, 0.000, 0.000], [0.000, 6.724, 0.000], [-2.017, 0.000, 6.104]], "species": ["V", "V", "V", "V", "V", "V", "Ru", "Ru", "Ru", "Ru", "Ru", "Pt"], "frac_coords": [[0.000, 0.237, 0.000], [0.000, 0.763, 0.000], [0.331, 0.247, 0.662], [0.331, 0.753, 0.662], [0.669, 0.247, 0.338], [0.669, 0.753, 0.338], [0.162, 0.500, 0.325], [0.168, 0.000, 0.335], [0.500, 0.000, 0.000], [0.832, 0.000, 0.665], [0.838, 0.500, 0.675], [0.500, 0.500, 0.000]], "space_group": "P2/m, No. 10"}

=====

Arrangement ii

{"formula": "V6Ru5Pt", "functional": "PBE-GGA", "state": "relaxed", "lattice": [[-2.034, 3.345, 6.106], [2.034, -3.345, 6.106], [2.034, 3.345, -6.106]], "species": ["V", "V", "V", "V", "V", "V", "Ru", "Ru", "Ru", "Ru", "Ru", "Pt"], "frac_coords": [[0.073, 0.331, 0.742], [0.234, 0.000, 0.234], [0.410, 0.669, 0.742], [0.590, 0.331, 0.258], [0.766, 0.000, 0.766], [0.927, 0.669, 0.258], [0.000, 0.500, 0.500], [0.175, 0.175, 0.000], [0.344, 0.844, 0.500], [0.656, 0.156, 0.500], [0.825, 0.825, 0.000], [0.500, 0.500, 0.000]], "space_group": "Immm, No. 71"}

=====

Pick arrangement ii: it beats the second-best structure by 0.9 kJ/mol of atoms.

=====

Arrangement i

{"formula": "V2RuPt2", "functional": "PBE-GGA", "state": "relaxed", "lattice": [[7.419, 0.000, 0.000], [0.000, 7.419, 0.000], [0.000, 0.000, 2.712]], "species": ["V", "V", "V", "V", "Ru", "Ru", "Pt", "Pt", "Pt", "Pt"], "frac_coords": [[0.170, 0.330, 0.000], [0.330, 0.830, 0.000], [0.670, 0.170, 0.000], [0.830, 0.670, 0.000], [0.000, 0.000, 0.500], [0.500, 0.500, 0.500], [0.129, 0.629, 0.500], [0.371, 0.129, 0.500], [0.629, 0.871, 0.500], [0.871, 0.371, 0.500]], "space_group": "P4/mbm, No. 127"}

=====

Arrangement ii
*/
== End of the data records ==

Also, MS-PowerPoint 2002 do not let me insert SWF movie from menu Insert -- > Movies and Sound -- > Movie From File... and says it is either non-standard or Quick Time is not installed

When I play an SWF file in the PPT it creates, I must click on the video's play button to initiate the video. For AVI and WMV I do not have to do that. Here's my code:

Presentation srcPres = new Presentation();

Slide srcSld = srcPres.GetSlideByPosition(1);

srcSld.Shapes.AddVideoFrame(500, 500, 3000, 3000, TextBox1.Text);

srcSld.Shapes[0].AnimationSettings.EntryEffect = ShapeEntryEffect.Cut;

srcSld.Shapes[0].AnimationSettings.AdvanceMode = Aspose.Slides.ShapeAdvanceMode.AdvanceOnTime;

srcSld.Shapes[0].AnimationSettings.AdvanceTime = 0.0d;


Can you please explain, how were you able to play SWF file even after clicking, because I am not able to play it on MS-PowerPoint 2002.

Do I need to install something to be able to play it?

I want to play the attached SWF file, does it play on your computer in PowerPoint?

I use PPT2003, not 2002. I also have v10.00.00.4058 of Windows Media Player installed. I also have Flash Player installed.

The video frame displays the "play" button for SWF files and I must click on it to initiate the video. However, AVI and WMV files automatically start when the slide is loaded.

Flash player is also installed on my PC and I don’t think, it is because of Windows Media Player nor I think, it is because of PowerPoint 2002.

Any way, I will report it as a bug for a fix.

Meanwhile, please try your code modifying this way. Perhaps it would work, but I am unsure.

Shape shp = srcSld.Shapes.AddVideoFrame(500, 500, 3000, 3000, TextBox1.Text);
shp.AnimationSettings.EntryEffect = ShapeEntryEffect.Cut;
shp.AnimationSettings.AdvanceMode = Aspose.Slides.ShapeAdvanceMode.AdvanceOnTime;
shp.AnimationSettings.AdvanceTime = 0.0d;